Spaceship combat is a core part of Starfield, as your ship not only acts as your primary means of transportation, but also your greatest weapon—and knowing outfitting your ship with the game’s best weapons is vital to fighting off pirates and zealots in space.
There are four types of ship weaponry: Ballistic, Lasers, Missiles, and Particle weapons. Each weapon type serves a special niche. For example, Ballistics are best for destroying a ship’s hull, while Lasers are better at depleting enemy shields.
Though all ship weapons may server different purposes, there are some that stand out among the rest. Here are our picks for the best ship weapons in Starfield.
Top Ship weapons in Starfield
5) Torch-P 250MW UV Pulse Laser
The Torch-P Pulse Laser is the single best laser weapon I have found in Starfield. As with most laser ship weapons, the hull damage is minimal, but the Torch-P excels at shredding enemy shields. Dealing 25 base shield damage, you won’t find many options better than the Torch-P.
You can find the Torch-P at a variety of ship technicians. The most convenient locations I have found are at the Deimos Shipyard on Mars in the Sol System and in the Red Mile on Porrima III in the Porrima System. This part will set you back around 29,600 Credits, unless you have a special discount from joining the UC Vanguard.
4) Atlatl 280C Missile Launcher
As the name may suggest, Missile Launchers are potentially the most destructive ship weapons in Starfield. The Atlatl 280C is the best weapon I have found so far for the Missile weapon type. This powerful tool spreads damage equally across hulls and shields, dealing 94 damage to both.

Unlike various other weapons on this list, the Atlatl 280Cs won’t break the bank either. Sold at the Red Mile, I only had to pay 730 Credits for the upgrade.
3) PB-30 Electron Beam
This Particle weapon is an extremely well-rounded tool that can act as your primary weapon in most space battles. Though the PB-30 Electron Beam is not absurdly strong, it has a reliable rate of fire and deals an even 13 damage across both shields and hulls.

• Someone pasted materials data at this point:
┌──
Entry 1:
First-principles (PBE-GGA) data for a geometry-optimized TbZnPd structure, as listed in the Materials Project database.

Results
For the energy of formation, the calculation gives -0.751 eV/atom. The value obtained for the uncorrected energy is -39.98 eV/cell.

Cell: 7.3733 7.3733 3.8273 Å, 90.00 90.00 120.00°
With the nearest neighbours (Å) after each atom.
Space group P-62m (No. 189)
Inequivalent atoms, fractional coordinates:
1 Tb 0.0000 0.5933 0.0000 x3  5 Pd 2.94-3.00, 6 Zn 3.16-3.25
2 Zn 0.0000 0.2518 0.5000 x3  4 Pd 2.67-2.81
3 Pd 0.0000 0.0000 0.0000 x1  6 Zn 2.67
4 Pd 0.3333 0.6667 0.5000 x2  3 Zn 2.81, 6 Tb 2.94


Entry 2:
First-principles (PBE-GGA) data for a geometry-optimized Eu2SiS4 structure, as listed in the Materials Project database.

Results
For the energy of formation, the calculation gives -1.821 eV/atom. The value obtained for the uncorrected energy is -106.44 eV/cell.

Cell: 6.5531 6.6082 8.1248 Å, 90.00 108.09 90.00°
With the nearest neighbours (Å) after each atom.
Space group P2_1/m (No. 11)
Inequivalent atoms, fractional coordinates:
1 Eu 0.2171 0.2500 0.0491 x2  6 S 2.92-3.08
2 Eu 0.2720 0.2500 0.5702 x2  6 S 2.97-3.08
3 Si 0.2226 0.7500 0.7977 x2  4 S 2.13
4 S 0.0068 0.0002 0.7377 x4  1 Si 2.13
5 S 0.3917 0.7500 0.0676 x2  1 Si 2.13
6 S 0.4202 0.7500 0.6326 x2  1 Si 2.13


Entry 3:
First-principles (PBE-GGA) data for a geometry-optimized BaY2Cl8 structure, as listed in the Materials Project database.

Results
For the energy of formation, the calculation gives -2.709 eV/atom. The value obtained for the uncorrected energy is -218.13 eV/cell.

Cell: 16.4338 11.0687 10.5547 Å, 90.00 120.13 90.00°
With the nearest neighbours (Å) after each atom.
Space group C2/c (No. 15)
Inequivalent atoms, fractional coordinates:
1 Ba 0.0000 0.0309 0.2500 x4  8 Cl 3.08-3.29
2 Y 0.2170 0.2742 0.7714 x8  4 Cl 2.45-2.73
3 Cl 0.0959 0.1161 0.5874 x8  1 Y 2.63
4 Cl 0.1340 0.4662 0.6748 x8  1 Y 2.45
5 Cl 0.1537 0.1714 0.9446 x8  2 Y 2.73-2.76
6 Cl 0.1536 0.2128 0.2936 x8  1 Y 2.55


Entry 4:
First-principles (PBE-GGA) data for a geometry-optimized Zr3Sn structure, as listed in the Materials Project database.

Results
For the energy of formation, the calculation gives -0.336 eV/atom. The value obtained for the uncorrected energy is -61.99 eV/cell.

Cell: 4.3594 4.3594 9.5511 Å, 90.00 90.00 90.00°
With the nearest neighbours (Å) after each atom.
Space group I4/mmm (No. 139)
Inequivalent atoms, fractional coordinates:
1 Zr 0.0000 0.0000 0.0000 x2  4 Sn 3.08, 8 Zr 3.23
2 Zr 0.0000 0.5000 0.2500 x4  8 Zr 3.08-3.23, 4 Sn 3.23
3 Sn 0.0000 0.0000 0.5000 x2  12 Zr 3.08-3.23
└──

The best place to purchase the PB-30 Electron Beam, along with various other parts and entire pre-built ships, is at the Demios Shipyard near Mars. The base price for the beam is 7,032 Credits. Though not too expensive, outfitting your ship with several can quickly add up.
2) Disruptor 3300 Electron Beam
The Disruptor 3300 Electron Beam is essentially the upgraded version of the previous PB-30. Similar to all Particle weapons, it deals damage on both hull and shield systems, though the Disruptor can deal a devastating 24 damage per hit. The range and rate of fire is also vastly improved.

Naturally, the Disruptor is among the more expensive light weapons to add to your ship. It will cost 9,298 Credits per Disruptor added. I recommend picking this up at the Demios Shipyard, though you can get it from several ship technicians around Starfield.
1) Vanguard Obliterator Auto-Projector
The Vanguard Obliterator is my personal favorite ship weapon in Starfield and the best for any space combat encounter. The Obliterator does 11 damage to both hull and shields while maintaining outstanding range and a 6.65 fire rate. The real draw of the Obliterator, however, is the damage stacking capabilities that can swiftly incapacitate most hostile vessels.

The Obliterator runs at 11,280 Credits without any discounts. I highly recommend avoiding getting a bounty for the United Colonies, as I have only found UC vendors are able to sell this powerful weapon.
Published: Sep 19, 2023 7:42 PM UTC